The show where I answer your questions. Please leave any comments or feedback in the comments section here below. I see everything and want to hear from you.
Link to CFI booksigning event:
(1) I notice in these conversations with your mom that your mother’s language is still laced with ‘Scientologese’ even though she has been away from the church for a long while. I don’t get the impression that she has a tendency towards identifying as an ‘Indie Scientologist’ who may still embrace some Scientology principles and she certainly doesn’t seem to want anything to do with the official Church of Scientology.
This brings up the concept of ‘recovery’ in Scientology. Not as in recovering from Scientology but be being recovered back into Scientology. I don’t think your mom would ever be able to be recovered, but I do believe that people who are still using the language still have some connection with the subject even though they may not even be aware of it. You have mentioned in the past that ‘recovery’ was one of your jobs when you were in the Sea Org and that you were very good at it. Could you explain how you went about recovering people and more importantly now, how people can best avoid being recovered back into Scientology?
(2) What about if people deliberately want to stay in that state of ignorance for purely egoistical reasons as physical health, well being and so on?
(1)
VASP calculation (PBE) on crystalline AcEuPdRh at its relaxed geometry.

Results
energy relative to the elements	-0.586	eV/atom
E_tot	-29.27	eV per cell
M_tot	6.85	μB/f.u.

Unit cell a=5.184 b=5.184 c=5.184 alpha=60.00 beta=60.00 gamma=60.00
Each line ends with the local moment (μB).
Positions (direct):
Eu 0.250 0.250 0.250  6.76
Ac 0.750 0.750 0.750  0.02
Rh 0.500 0.500 0.500  -0.14
Pd 0.000 0.000 0.000  -0.03

***

(2)
VASP calculation (PBE) on crystalline AcEuSiPd at its relaxed geometry.

Results
energy relative to the elements, uncorrected	-204	kJ/mol of formula units
E_tot	-27.12	eV per cell
M_tot	6.81	μB/f.u.

Unit cell a=5.307 b=5.307 c=5.307 alpha=60.00 beta=60.00 gamma=60.00
Each line ends with the local moment (μB).
Positions (direct):
Eu 0.250 0.250 0.250  6.77
Ac 0.750 0.750 0.750  -0.01
Si 0.500 0.500 0.500  -0.04
Pd 0.000 0.000 0.000  -0.04

***

(3)
VASP calculation (PBE) on crystalline AcEuTlPd at its relaxed geometry.

Results
energy relative to the elements	-0.459	eV/atom
E_tot	-23.78	eV per cell
M_tot	7.11	μB/f.u.

Unit cell a=5.515 b=5.515 c=5.515 alpha=60.00 beta=60.00 gamma=60.00
Each line ends with the local moment (μB).
Positions (direct):
Eu 0.250 0.250 0.250  -6.84
Ac 0.750 0.750 0.750  -0.01
Tl 0.000 0.000 0.000  -0.01
Pd 0.500 0.500 0.500  0.00

***

(4)
VASP calculation (PBE) on crystalline Ac2PmEu at its relaxed geometry.

Results
distance to the lowest polymorph of the same formula	0.31	eV/f.u.
energy relative to the elements	0.093	eV/atom
E_tot	-22.87	eV per cell
M_tot	8.16	μB/f.u.

Unit cell a=6.158 b=6.158 c=6.158 alpha=60.00 beta=60.00 gamma=60.00
Each line ends with the local moment (μB).
Positions (direct):
Eu 0.000 0.000 0.000  6.91
Ac 0.250 0.250 0.250  0.10
Ac 0.750 0.750 0.750  0.10
Pm 0.500 0.500 0.500  0.14

***

(5)
VASP calculation (PBE) on crystalline Ac2PmEu at its relaxed geometry.

Results
distance to the lowest polymorph of the same formula	0.04	eV/f.u.
energy relative to the elements	0.025	eV/atom
E_tot	-23.14	eV per cell
M_tot	7.54	μB/f.u.

Unit cell a=3.920 b=3.920 c=10.796 alpha=90.00 beta=90.00 gamma=90.00
Each line ends with the local moment (μB).
Positions (direct):
Eu 0.500 0.500 0.500  -6.97
Ac 0.000 0.000 0.763  -0.04
Ac 0.000 0.000 0.237  -0.04
Pm 0.500 0.500 0.000  0.06

***

(6)
VASP calculation (PBE) on crystalline AcPm2Eu at its relaxed geometry.

Results
distance to the lowest polymorph of the same formula	0.35	eV/f.u.
energy relative to the elements	0.147	eV/atom
E_tot	-23.30	eV per cell
M_tot	8.01	μB/f.u.

Unit cell a=6.021 b=6.021 c=6.021 alpha=60.00 beta=60.00 gamma=60.00
Each line ends with the local moment (μB).
Positions (direct):
Eu 0.000 0.000 0.000  6.91
Ac 0.500 0.500 0.500  0.09
Pm 0.250 0.250 0.250  0.14
Pm 0.750 0.750 0.750  0.14

***

(7)
VASP calculation (PBE) on crystalline AcPmEu at its relaxed geometry.

Results
distance to the lowest polymorph of the same formula	0.00	eV/f.u.
energy relative to the elements	0.031	eV/atom
E_tot	-19.04	eV per cell
(Back to the page)
(3) Hubbard’s Scientology gives people a false sense of security, especially in what happens after they die. Letting go of that must be terrifying, and maybe impossible for some people, especially if they grew up believing in it. Life with all its pains and suffering can sometimes feel like a free fall into emptiness. Scientology promises that there will be a soft landing, and that provides some comfort to people who believe it.
Do you ever miss being comforted by Hubbard’s ideas? Do you ever experience mortal terror and emptiness now that you realize there may not be a soft landing? If so how do you deal with it?
(4) There have been some news articles re Tom Cruise moving to St Hill in England. Most people consider it bunk. I do not as he could be in some turmoil seeing his daughter Suri in the press growing up & this issue is coming up in auditing. When Miscaviage hears of this he could have decided to sit down with Tom, & give him a grandiose title such as European Director of the Board, so as to get Tom very focused on being much more of a leader rather than just a figure head, getting him to work more on expanding Scientology and by default dragging him further down the rabbit hole. Would you consider this a possibility?
(5) After watching your video with an ex-Jehovah Witness on comparing and contrast the 2 different cults, have you ever considered doing another video with other former cult members? Perhaps a former Mormon or an ex-Moonie?
(6) For the former members that are blown and outspoken, is it a point of pride that Scientology puts out trash talk about you or is it something that you worry about?
(7) Do you believe that if a reform was to happen and the church was turned into a business offering courses and therapy auditing it could be of help and turn from evil to good? Including offering more affordable prices and the cancellation of Sea Org and other draconian management organizations?